13. Cancer is Population Control +
This page is the Study of Health and Disease
One Website I Saw Was Bragging - Leader in Cancer Treatment
Working to Eliminate Cancer for Nearly 80 Years! WOW and They are Still in Business
They Must Not Know That PH Kills sv40 That Is Cancer
Working to Eliminate Cancer for Nearly 80 Years! WOW and They are Still in Business
They Must Not Know That PH Kills sv40 That Is Cancer
Doctor Joel Wallach |
Dr Joel Wallach Dead Doctors Don’t Lie Presentation: https://www.bing.com/videos/search?q=dead+doctors+don%27t+lie&view=detail&mid=AFB4D57E9EC055FDB528AFB4D57E9EC055FDB528&FORM=VIRE YouTube: https://youtu.be/MEsl_3AV7Rs |
I didn’t know. I didn’t know that life could be so great
I really didn’t. . . Vito |
Cancer - How To Make Baking Soda Molasses Cancer Protocol Solutions
Baking soda solution that I used to reclaim my health after being diagnosed with stage 4 prostate cancer that metastasized to the bones Watch This You Tube Now:x http://youtu.be/Yl8Y8I_TsjI Here is a link that speaks of others who have had success with baking soda and/or alkaline diet:f http://phkillscancer.com/ This Brave Man Writes - His Cancer Story:f http://phkillscancer.com/cancer-succe |
Every Cancer Can be Cured in Weeks explains Dr. Leonard Coldwell states that every cancer can be cured within 16 weeks - Dr. Coldwell states how that's possible in this video. He recommends using natural cancer cures as opposed to traditional cancer treatments:x https://youtu.be/DgbdNNfotwM |
A place where you may purchase - pH Test Paper Strips - These quick and easy test
strips for testing you alkaline cover a wide pH range of 1 to 12 and have distinct color changes that make them easy to match to the chart:f
strips for testing you alkaline cover a wide pH range of 1 to 12 and have distinct color changes that make them easy to match to the chart:f
Dr. Len Horowitz - AIDS was manufactured by the Government
(Would That Be - The USA Municipal Incorporation?) The Harvard Doctor who found out that AIDS was manufactured in Government sponsored bio-medical labs and spread through Vaccinations:x https://youtu.be/amXSy7ZDhsI |
In this interview
Vaccine pioneer admits adding cancer-causing SV40 virus to Vaccine Dr. Maurice Hilleman reveals some astounding revelations - He admits that Merck drug company vaccines (Polio)had been deliberately contaminated with SV40, a cancer-causing monkey virus from 1953 - 63:x https://youtu.be/13QiSV_lrDQ |
What Does A Cancer Look Like? - Much More To Know and See:x https://www.youtube.com/results?search_query=what+does+cancer+look+like |
Cancer - The Forbidden Cures - With Peter Barry Chowka If you have Cancer - This is a Must see:x https://youtu.be/NAMYAoiCSsI |
Cancer - The Forbidden Cures - With Rene Caisse If you have Cancer - This is a Must see:x https://youtu.be/gWLrfNJICeM |
Dr. Tullio Simoncini
His Book - Cancer Is A Fungus http://www.cancerisafungus.com/ Cancer is a Fungus and Curable with Baking Soda - A prominent Italian Oncologist explains his view that cancer is fungus and can be easily treated. Fascinating viewing:x 1. http://youtu.be/pqcYpIFiwOk 2. http://youtu.be/ri-C8VvF3Rs |
Maple Syrup & Baking Soda - Fighting Advance Stage 4 Esophageal Cancer,
Ron LaSalle, RN BSN MBA CHPCA, Hospice President & CEO, cooks maple syrup and baking soda and ingests one tablespoon daily:x https://youtu.be/6KqQvUFwsF4 |
The Cure - For Cancer Debunking Modern Medicine's "Natural Disease" Theory:f http://www.truthseekertimes.ca/Brochures/Cure%20for%20Cancer.pdf |
The Cancer Diet - Can Diet Heal Cancer:f http://www.project.nsearch.com/m/blogpost?id=4878805%3ABlogPost%3A652774 |
Chef Marcus Guiliano
Drinking Baking Soda For Health Benefits | How To Improve Your Health:x https://youtu.be/MKC45xXVKKc |
The Truth Girls On
Baking Soda Cancer Cure? - It took a lot for me to change my views on the curability of cancer, but after looking into this for a long time, I realized that many of the alternative treatments worked by alkalizing the body, which facilitates oxygenation:x http://youtu.be/eXa9TBaZDpw |
# Materials data from another source follow
<<<
# 1
Diffraction record for CsYCuO3. The powder diffractogram is theoretical, not measured: it uses DFT lattice parameters and positions (GGA-PBE) and CuKα.
Lines closer than 0.1° are merged.

Cell and atoms:
Cell: 7.958 3.655 9.042 Å, 90.00 112.02 90.00°
Space group P2_1/m (No. 11)
Symmetry-distinct sites (fractional):
Cs 0.214 0.250 0.211 (multiplicity 2)
Y 0.331 0.750 0.863 (multiplicity 2)
Cu 0.049 0.250 0.626 (multiplicity 2)
O 0.121 0.750 0.597 (multiplicity 2)
O 0.142 0.250 0.857 (multiplicity 2)
O 0.481 0.750 0.127 (multiplicity 2)

Largest 10 diffraction maxima, in order of rising 2θ, 2θ from 10° to 90°:
index	2θ (°)	I/Imax
0 0 1	10.55	31
1 0 1	18.77	41
0 0 2	21.20	38
2 0 -2	25.49	91
0 1 1	26.61	44
1 1 -2	31.75	32
0 1 2	32.50	45
2 1 -1	33.32	100
2 1 0	34.55	42
4 1 -3	54.39	31



# 2
Diffraction record for Cs3CuP. The powder diffractogram is theoretical, not measured: it uses DFT lattice parameters and positions (GGA-PBE) and CuKα.
Lines closer than 0.1° are merged.

Cell and atoms:
Cell: 14.396 16.012 4.855 Å, 90.00 90.00 90.00°
Space group Cmc2_1 (No. 36)
Symmetry-distinct sites (fractional):
Cs 0.000 0.160 0.000 (multiplicity 4)
Cs 0.168 0.373 0.002 (multiplicity 8)
Cu 0.000 0.458 0.507 (multiplicity 4)
P 0.000 0.321 0.501 (multiplicity 4)

Largest 10 diffraction maxima, in order of rising 2θ, 2θ from 10° to 90°:
index	2θ (°)	I/Imax
3 1 0	19.31	26
1 1 1	20.08	38
0 4 0	22.21	32
2 2 1	24.76	100
3 3 0	24.95	55
3 3 1	31.10	23
4 2 1	32.94	42
1 5 1	34.11	31
0 0 2	37.03	20
3 3 2	45.18	22



# 3
Diffraction record for CsCuP2Se8. The powder diffractogram is theoretical, not measured: it uses DFT lattice parameters and positions (GGA-PBE) and CuKα.
Lines closer than 0.1° are merged.

Cell and atoms:
Cell: 5.7465 5.7465 37.8068 Å, 90.00 90.00 120.00°
Space group R-3 (No. 148, hexagonal axes)
Symmetry-distinct sites (fractional):
Cs 0.0000 0.0000 0.0000 (multiplicity 3)
Cu 0.0000 0.0000 0.5000 (multiplicity 3)
P 0.0000 0.0000 0.2355 (multiplicity 6)
Se 0.0000 0.0000 0.2923 (multiplicity 6)
Se 0.0206 0.6395 0.7885 (multiplicity 18)

Largest 10 diffraction maxima, in order of rising 2θ, 2θ from 10° to 90°:
index	2θ (°)	I/Imax
1 0 4	20.17	68
0 0 9	21.15	42
1 0 7	24.32	33
1 0 10	29.68	27
1 1 3	31.95	100
2 -1 6	34.30	83
0 2 4	37.37	37
2 -1 9	37.93	42
1 1 15	48.02	29
3 0 0	55.39	38



# 4
Diffraction record for CsCuSiP2. The powder diffractogram is theoretical, not measured: it uses DFT lattice parameters and positions (GGA-PBE) and CuKα.
Lines closer than 0.1° are merged.

Cell and atoms:
Cell: 12.763 3.850 9.983 Å, 90.00 98.00 90.00°
Space group C2/m (No. 12)
Symmetry-distinct sites (fractional):
Cs 0.149 0.000 0.155 (multiplicity 4)
Cu 0.193 0.000 0.553 (multiplicity 4)
Si 0.057 0.500 0.646 (multiplicity 4)
P 0.115 0.000 0.768 (multiplicity 4)
P 0.120 0.500 0.443 (multiplicity 4)

Largest 10 diffraction maxima, in order of rising 2θ, 2θ from 10° to 90°:
index	2θ (°)	I/Imax
2 0 2	24.36	72
1 1 -1	25.47	51
0 0 3	27.06	51
4 0 0	28.24	41
1 1 2	30.86	88
>>>
New Oxygen Therapy - Flushes Disease Out Of Your Body
Cleanse Your Body Of Toxins, Heavy Metals... Even Cancer!:f http://www.alsearsmd.com/WIR/WIR310/Chapter_Oxygen_20130512_NewTherapy.html |
Edward Griffin
A World Without Cancer - The Story Of Vitamin B 17 Edward Griffin:x http://youtu.be/JGsSEqsGLWM The Science and Politics of Cancer - G. Edward Griffin (2005):x
https://youtu.be/ctd-QF982mA G. Edward Griffin - ON HIV AIDS, Big Pharma Fraud:x http://youtu.be/v63NQg-eFjo
Dr. Jill Vecchio
A Colorado Radiologist who is head of the Breast Cancer section at Lutheran Hospital Caution - Radiation may cause Cancer:x https://youtu.be/6e3udzHIiVs |
Chicken - Contains Cancer Causing Arsenic:f https://www.bing.com/search?q=Chicken+-+Contains+Cancer+Causing+Arsenic&PC=U316&FORM=CHROMN |
Dr. Dietrich Klinghardt
Smart Meters & EMR can cause Cancer - The Health Crisis of Our Time - To understand what Radio Frequencies can do to you see the Jimmy Gonzalez's YouTube below:x http://youtu.be/b_wxM6IAF1I |
Jimmy Gonzalez "Cell Phones Cause Cancer"
His testimony to the Pembroke Pines Commission resulted in the passing of a Resolution to raise awareness on the health risks of cell phone radiation Just Think Smart meters are on 24/7 365 days a year you can never turn them off Jimmy is dead now:x http://youtu.be/DIlOVJd0lA8 |
Everything You Need to Know About Iodine What is Iodine, and what are its uses? Join Dr. Group for a special one hour Webinar as he reviews its benefits and how you can supplement yourself with Iodine rich foods:x http://youtu.be/oDRd40VK5PY |
Your Days of Eating Pacific Ocean Fish
# Mg3TcH8
Simulated powder diffraction line list, λ = 1.5418 Å (Cu Kα). Input: a GGA-PBE-relaxed structure.
Intensities are scaled so that the largest is 100.

The 10 most intense peaks (15° ≤ 2θ ≤ 90°), sorted by position:
2θ (°)	I (rel.)
19.53	57
27.76	46
34.17	100
39.66	44
44.58	24
49.10	19
57.34	35
61.18	12
68.47	37
71.97	10

```
12
Lattice="4.5450 0.0000 0.0000 0.0000 4.5450 0.0000 0.0000 0.0000 4.5450" Properties=species:S:1:pos:R:3 pbc="T T T"
Mg 0.0000 0.0000 2.2725
Mg 0.0000 2.2725 0.0000
Mg 2.2725 0.0000 0.0000
Tc 2.2725 2.2725 2.2725
H 1.2162 1.2162 1.2162
H 1.2162 1.2162 3.3288
H 1.2162 3.3288 1.2162
H 1.2162 3.3288 3.3288
H 3.3288 1.2162 1.2162
H 3.3288 1.2162 3.3288
H 3.3288 3.3288 1.2162
H 3.3288 3.3288 3.3288
```

=====

# Cu2HgF8
Simulated powder diffraction line list, λ = 1.5418 Å (Cu Kα). Input: a GGA-PBE-relaxed structure.
Intensities are scaled so that the largest is 100.

The 10 most intense peaks (15° ≤ 2θ ≤ 90°), sorted by position:
2θ (°)	I (rel.)
15.12	46
26.34	100
27.82	83
35.39	33
38.68	26
46.49	21
47.41	38
50.09	23
54.22	26
57.47	22

```
11
Lattice="6.7671 0.0000 0.0000 -3.3835 5.8604 0.0000 0.0000 0.0000 3.8319" Properties=species:S:1:pos:R:3 pbc="T T T"
Cu 0.0000 3.9070 0.9579
Cu 3.3835 1.9535 2.8740
Hg 0.0000 0.0000 0.0000
F -1.6303 4.8365 0.9894
F 0.0101 2.0303 0.9894
F 0.0000 3.9070 2.8750
F 1.7634 1.0064 2.8425
F 1.6202 4.8541 0.9894
F 3.3835 1.9535 0.9569
F 3.3734 3.8301 2.8425
F 5.0139 1.0239 2.8425
```

=====

# Ce8Sn2Ru
Simulated powder diffraction line list, λ = 1.5418 Å (Cu Kα). Input: a GGA-PBE-relaxed structure.
Intensities are scaled so that the largest is 100.

The 10 most intense peaks (15° ≤ 2θ ≤ 90°), sorted by position:
2θ (°)	I (rel.)
28.36	12
31.84	54
32.12	36
34.91	22
35.52	100
43.71	14
56.90	11
59.14	23
62.57	10
74.72	11

```
11
Lattice="-2.8108 3.4963 7.2240 2.8108 -3.4963 7.2240 2.8108 3.4963 -7.2240" Properties=species:S:1:pos:R:3 pbc="T T T"
Ce 0.0000 0.0000 2.0192
Ce 2.8108 2.0416 -1.7921
Ce 0.0000 1.8706 0.0000
Ce 2.8108 2.0416 1.7921
Ce 0.0000 1.4547 5.4318
Ce 0.0000 5.1219 0.0000
Ce 0.0000 1.4547 9.0161
Ce 0.0000 0.0000 12.4288
Sn 2.8108 0.0000 4.3492
Sn 0.0000 3.4963 2.8748
Ru 2.8108 0.0000 0.0000
```
(The page goes on)
Maybe Over:f https://www.bing.com/search?q=Your+Days+of+Eating+Pacific+Ocean+Fish+maybe+Over&PC=U316&FORM=CHROMN |
McDonald's Chicken McNuggets Found to contain mysterious fibers, hair-like structures; Natural News Forensic Food Lab posts research photos, video Learn more:x http://www.naturalnews.com/041646_Chicken_McNuggets_forensic_food_analysis_strange_fibers.html |
The Baking Soda Deception HHO application only Part 2 - Could be the best materials to use:x http://youtu.be/oh0x-sdDpic |
USDA funded project to create a GMO Corn that sterilizes people without their Knowledge may cause Cancer:
No More Baby Will Be Born - Can You Imagine a World Without Children - What Have We Let Them Do To US?? Does Barack Obama represent the End Game for America?:f http://saynsumthn.wordpress.com/2012/07/13/genetically-modified-corn-sterilizes-men-and-women-contraceptive-corn/ |
System Announces It Will Use DNA Stolen From Babies: (A Must See):f https://www.bing.com/search?setmkt=en-US&q=System+Announces+-+It+Will+Use+DNA+Stolen+From+Babies |
New Bed Bug - How fast Do Bed Bugs Spread?:f
What do your eyes say about you and your Health? Could help to know if you have Cancer:f http://iridology.webs.com/ |
Tavistock Institute 30 Tabernacle Street, London EC2A 4DD Tavistock Institute for Global Manipulation:x http://youtu.be/vZG0b02zCdg |
Real Population Control - I Fear my Government? - (THE US CORPORATION) This is information elected officials do not want you to see because it is the truth - How many more will die?:x http://youtu.be/0sujnvIV4g4 |
Governments - Must End Organ Harvesting:f
https://www.bing.com/search?q=%EF%BB%BFGovernments+Must+End+Organ+Harvesting&PC=U316&FORM=CHROMN |
Obama on - Health Care Plan:f http://www.liberty.edu/media/9980/attachments/healthcare_overview_obama_072909.pdf |
Obamacare Code
All executions performed at the behest of the judiciary or ruling authority
[whether permanent or temporary] as ICD 9 E 978
Beheading, Decapitation (by guillotine):f
All executions performed at the behest of the judiciary or ruling authority
[whether permanent or temporary] as ICD 9 E 978
Beheading, Decapitation (by guillotine):f
Mark Dice The Petition for
"Mandatory Euthanasia" for Senior Citizens Under Obama Care! I Can't Believe It:x http://youtu.be/t4BEY1lZDyg |